'''
(1)
Material: ScZnAs3
Method: DFT, meta-GGA SCAN
State: PBEsol geometry

**Calculated volume**: 24.9 A^3/atom
**Energy relative to the elements**: 0.400 eV per atom
**Total magnetic moment**: 0.0 μB/f.u.

The structure in POSCAR format:
```
ScZnAs3
1.0
-1.2345 -2.2061 4.3095
-1.6810 -3.9754 -2.5166
4.5401 -2.0717 0.2400
Sc As Zn
1 3 1
direct
0.0000 0.0000 0.0000 Sc
0.0000 0.5000 0.0000 As
0.0000 0.0000 0.5000 As
0.5000 0.0000 0.0000 As
0.5000 0.5000 0.5000 Zn
```



(2)
Material: LiMg2Ir
Method: DFT, meta-GGA SCAN
State: PBEsol geometry

**Calculated volume**: 15.6 A^3/atom
**Energy relative to the elements**: -0.357 eV per atom
**Total magnetic moment**: 0.0 μB/f.u.

The structure in POSCAR format:
```
LiMg2Ir
1.0
3.1047 0.0000 0.0000
0.0000 4.4803 0.0000
0.0000 0.0000 4.4808
Mg Ir Li
2 1 1
direct
0.0000 0.0000 0.1244 Mg
0.0000 0.5000 0.6253 Mg
0.5000 0.0000 0.6243 Ir
0.5000 0.5000 0.1259 Li
```
'''

The reader should work out how many lines above have the word "in" in them; a number is enough.

2